Copter: Conflicting received Heartbeat messages!?

I have been successful in arming and setting mode in simulation environment. Now, I’m trying to do the same in reality. My companion computer, ODroid-XU4 is connected to Pixhawk via UART, using MAVLink protocol. I can send and receive messages successfully.

I’m connecting Pixhawk to my PC having QGroundControl running.
When I try to arm the vehicle, sometimes it’s armed. Other times, my code says that it’s armed while it’s not armed in QGroundControl. Some times, one heartbeat messages says that the vehicle is armed, while the next received heartbeat messages says it is not armed. I don’t know why does it behave like this.

The code for arming the vehicle is:

void mavArmDisarm(armStatus cmd)
            mavlink_system.sysid, mavlink_system.compid, &msg, targetSysId, targetCompId,          MAV_CMD_COMPONENT_ARM_DISARM,  0, cmd,    0, 0, 0, 0, 0, 0);

    len = mavlink_msg_to_send_buffer(buf, &msg);

    serial.serialWriteBytes(pbuf, len);

The other point is, when I set the mode to, say, GUIDED, I also receive one heartbeat message saying the current flight mode is GUIEDE while the next messages says the current flight mode is STABILIZE.
The code for setting the mode is:

void mavSetMode(FlightModes mode)
    mavlink_msg_set_mode_pack(mavlink_system.sysid, mavlink_system.compid, &msg, targetSysId, 1, mode);

    len = mavlink_msg_to_send_buffer(buf, &msg);

    serial.serialWriteBytes(pbuf, len);

-- Inserted here: calculated crystals --
For Cs2VRhS4, a structure optimized by DFT (PBE) gives the theoretical X-ray diffraction stick pattern in this record (λ = 1.5418 Å (Cu Kα)).

```
data_Cs2VRhS4
_chemical_formula_sum 'Cs4 V2 Rh2 S8'
_symmetry_space_group_name_H-M 'P 1'
_symmetry_Int_Tables_number 1
_symmetry_space_group_name_Hall 'P 1'
_cell_length_a 14.358
_cell_length_b 12.823
_cell_length_c 7.593
_cell_angle_alpha 85.31
_cell_angle_beta 62.88
_cell_angle_gamma 31.81
loop_
_atom_site_label
_atom_site_type_symbol
_atom_site_fract_x
_atom_site_fract_y
_atom_site_fract_z
_atom_site_occupancy
Cs1 Cs 0.051 0.051 0.699 1
Cs2 Cs 0.301 0.301 0.949 1
Cs3 Cs 0.699 0.699 0.051 1
Cs4 Cs 0.949 0.949 0.301 1
V1 V 0.125 0.125 0.125 1
V2 V 0.875 0.875 0.875 1
Rh1 Rh 0.375 0.375 0.375 1
Rh2 Rh 0.625 0.625 0.625 1
S1 S 0.035 0.315 0.395 1
S2 S 0.245 0.605 0.685 1
S3 S 0.315 0.035 0.755 1
S4 S 0.395 0.755 0.035 1
S5 S 0.605 0.245 0.965 1
S6 S 0.685 0.965 0.245 1
S7 S 0.755 0.395 0.315 1
S8 S 0.965 0.685 0.605 1
```

Top 8 peaks for 2θ = 10–90°, in order of falling intensity:
- d = 3.588 Å, 24.8 deg, I = 100.0
- d = 3.314 Å, 26.9 deg, I = 92.7
- d = 4.437 Å, 20.0 deg, I = 61.8
- d = 2.337 Å, 38.5 deg, I = 37.9
- d = 2.620 Å, 34.2 deg, I = 35.9
- d = 3.525 Å, 25.3 deg, I = 33.2
- d = 1.948 Å, 46.6 deg, I = 31.8
- d = 2.928 Å, 30.5 deg, I = 27.2

----------

1.
For Ti3NbMo4, a structure optimized by DFT (PBE) gives the theoretical powder diffraction line list in this record (Cu Kα (weighted mean of Kα1 and Kα2)).
Peak positions follow from Bragg's law for the DFT cell and can differ from measured ones.

Cell and atoms:
```
data_Ti3NbMo4
_cell_length_a 2.6605
_cell_length_b 9.3234
_cell_length_c 10.7858
_cell_angle_alpha 90.00
_cell_angle_beta 90.00
_cell_angle_gamma 90.00
_space_group_name_H-M_alt 'I m m m'
_space_group_IT_number 71
_space_group_name_Hall '-I 2 2'
loop_
_atom_site_label
_atom_site_type_symbol
_atom_site_fract_x
_atom_site_fract_y
_atom_site_fract_z
_atom_site_occupancy
Ti1 Ti 0.0000 0.0000 0.0000 1
Ti2 Ti 0.0000 0.5000 0.2496 1
Nb1 Nb 0.0000 0.0000 0.5000 1
Mo1 Mo 0.0000 0.2560 0.3733 1
```

Principal peaks in the range 5° ≤ 2θ ≤ 70°, in order of rising 2θ:
index	d [Å]	Rel. int.
0 2 0	4.662	116
1 0 1	2.583	237
0 2 4	2.333	1000
1 1 2	2.311	186
1 2 1	2.259	156
1 0 3	2.139	75
1 2 3	1.944	217
1 3 2	1.893	97
1 4 1	1.730	136
1 2 5	1.576	144
1 5 2	1.470	81
0 6 4	1.346	105

=====

2.
For Ta3Re2Ru, a structure optimized by DFT (PBE) gives the theoretical powder diffraction line list in this record (Cu Kα (weighted mean of Kα1 and Kα2)).
Peak positions follow from Bragg's law for the DFT cell and can differ from measured ones.

Cell and atoms:
```
data_Ta3Re2Ru
_cell_length_a 3.1969
_cell_length_b 3.1969
_cell_length_c 9.5551
_cell_angle_alpha 90.00
_cell_angle_beta 90.00
_cell_angle_gamma 90.00
_space_group_name_H-M_alt 'P 4/m m m'
_space_group_IT_number 123
_space_group_name_Hall '-P 4 2'
loop_
_atom_site_label
_atom_site_type_symbol
_atom_site_fract_x
_atom_site_fract_y
_atom_site_fract_z
-- End of the calculated crystals --

    while(currentFlightMode != mode);

    printf(ANSI_COLOR_GREEN "Successfully setting mode to %s\n" ANSI_COLOR_RESET, controlMode[mode]);

The code for receiving the messages is:

void mavReceive(void)
	static uint16_t heartBaseMode;
	static char byte;

	while(serial.serialGetBytesAvailable() > 0)
		byte = serial.serialReadByte();

		if(mavlink_parse_char(MAVLINK_COMM_0, byte, &msg, &status))
					heartBaseMode = mavlink_msg_heartbeat_get_base_mode(&msg);
					armed = (heartBaseMode & MAV_MODE_FLAG_SAFETY_ARMED);

	                            if(armed == MAV_MODE_FLAG_SAFETY_ARMED)
			                     printf(ANSI_COLOR_GREEN "Vehicle Armed\n" ANSI_COLOR_RESET);
                  	    			printf(ANSI_COLOR_GREEN "Vehicle Disarmed\n" ANSI_COLOR_RESET);
					currentFlightMode = mavlink_msg_heartbeat_get_custom_mode(&msg);

Unrelated to this page: records of crystals.
-- begin --
Theoretical X-ray powder pattern of NdS2O6F2 for a wavelength of 1.5418 Å, from the PBE geometry in Alexandria.
Kinematic intensities with the Lorentz-polarization factor, no thermal factor.

Principal peaks in the range 10 to 90 degrees two-theta, low angle first:
2theta	d/Å	I_rel
15.14	5.851	17
17.27	5.135	19
23.05	3.859	100
30.15	2.965	37
33.90	2.644	9
35.31	2.542	28
38.28	2.351	20
46.81	1.941	8
47.09	1.930	17
49.48	1.842	23
50.03	1.823	8
56.48	1.629	10

Structure:
```
NdS2O6F2
1.0
5.929 0.000 0.000
-2.965 5.135 0.000
0.000 0.000 5.851
Nd S O F
1 2 6 2
Direct
0.000 0.000 0.000
0.333 0.667 0.711
0.667 0.333 0.289
0.196 0.391 0.786
0.196 0.804 0.786
0.391 0.196 0.214
0.609 0.804 0.786
0.804 0.196 0.214
0.804 0.609 0.214
0.333 0.667 0.403
0.667 0.333 0.597
```

---

Theoretical X-ray powder pattern of Nd6S3O2F8 for a wavelength of 1.5418 Å, from the PBE geometry in Alexandria.
Kinematic intensities with the Lorentz-polarization factor, no thermal factor.

Principal peaks in the range 10 to 90 degrees two-theta, low angle first:
2theta	d/Å	I_rel
12.92	6.850	32
24.14	3.687	82
27.04	3.297	90
27.17	3.282	90
27.30	3.266	84
30.46	2.934	100
30.57	2.925	50
32.28	2.774	34
32.41	2.762	70
34.94	2.568	46
46.79	1.941	79
54.94	1.671	53

Structure:
```
Nd6S3O2F8
1.0
13.590 0.000 0.000
0.000 3.880 0.000
-6.788 0.000 11.898
Nd S O F
12 6 4 16
Direct
0.000 0.000 0.000
0.045 0.500 0.763
0.138 0.500 0.520
0.229 0.500 0.295
0.338 0.000 0.828
0.419 0.000 0.580
0.518 0.000 0.344
0.574 0.500 0.109
0.671 0.000 0.917
0.755 0.000 0.660
0.806 0.500 0.454
0.884 0.500 0.196
0.008 0.000 0.584
0.083 0.000 0.335
0.469 0.500 0.774
0.558 0.500 0.526
0.754 0.000 0.245
0.816 0.500 0.872
0.298 0.500 0.491
0.699 0.500 0.034
0.714 0.000 0.469
0.850 0.500 0.645
0.029 0.500 0.127
0.083 0.500 0.959
0.176 0.000 0.851
0.183 0.000 0.165
0.214 0.500 0.732
0.259 0.000 0.622
0.351 0.000 0.375
0.379 0.500 0.950
0.388 0.500 0.261
0.488 0.000 0.152
0.529 0.000 0.982
0.602 0.500 0.302
0.616 0.000 0.723
0.872 0.000 0.080
0.943 0.500 0.389
0.965 0.000 0.809
```

---

Theoretical X-ray powder pattern of Nd2SeOF2 for a wavelength of 1.5418 Å, from the PBE geometry in Alexandria.
Kinematic intensities with the Lorentz-polarization factor, no thermal factor.

Principal peaks in the range 10 to 90 degrees two-theta, low angle first:
2theta	d/Å	I_rel
12.72	6.957	37
26.67	3.342	100
30.15	2.964	99
31.97	2.800	78
34.53	2.597	51
35.35	2.539	46
46.15	1.967	28
46.52	1.952	33
47.10	1.929	52
52.93	1.730	43
54.43	1.686	29
68.36	1.372	33

Structure:
```
Nd2SeOF2
1.0
13.914 0.000 0.000
-6.957 12.050 0.000
0.000 0.000 3.904
Nd Se O F
12 6 6 12
Direct
0.055 0.290 0.250
0.119 0.603 0.250
0.235 0.945 0.250
0.290 0.235 0.750
0.397 0.516 0.250
0.484 0.881 0.250
0.516 0.119 0.750
0.603 0.484 0.750
0.710 0.765 0.250
0.765 0.055 0.750
0.881 0.397 0.750
0.945 0.710 0.750
0.205 0.487 0.750
0.282 0.795 0.750
0.487 0.282 0.250
0.513 0.718 0.750
0.718 0.205 0.250
0.795 0.513 0.250
0.015 0.587 0.750
0.413 0.427 0.750
-- stop --

					printf(ANSI_COLOR_BLUE "Current flight mode: %s\n" ANSI_COLOR_RESET, controlMode[currentFlightMode]);


The main function is:

int main(void)
	mavlink_system.sysid = 20;      // ID 20 for this system (Companion Computer)
	mavlink_system.compid = 20;     // The Id of the component sending the message

	serial.serialOpen(SERIAL_PORT, BAUD_RATE);

	// Start a timer to send heartbeat signal each second
	timerStart(mavSendHeartbeat, 1000);

	// Start a timer to receive messages from the other side each second
	timerStart(mavReceive, 10);

(Unrelated to this piece: materials data)
Entry 1:
For Rb2AgClF3, a cell relaxed with PBE gives the calculated PXRD pattern in this record (Cu Kα (λ = 1.5418 Å)).
Kinematic intensities with the Lorentz-polarization factor, no thermal factor.

```
data_Rb2AgClF3
_cell_length_a 3.688
_cell_length_b 9.841
_cell_length_c 8.152
_cell_angle_alpha 90.00
_cell_angle_beta 90.00
_cell_angle_gamma 90.00
_symmetry_space_group_name_H-M 'P 1'
_symmetry_Int_Tables_number 1
loop_
_symmetry_equiv_pos_as_xyz
'x,y,z'
loop_
_atom_site_label
_atom_site_type_symbol
_atom_site_fract_x
_atom_site_fract_y
_atom_site_fract_z
Rb1 Rb 0.000 0.216 0.000
Rb2 Rb 0.000 0.284 0.500
Rb3 Rb 0.000 0.716 0.500
Rb4 Rb 0.000 0.784 0.000
Ag1 Ag 0.500 0.000 0.282
Ag2 Ag 0.500 0.500 0.782
Cl1 Cl 0.500 0.000 0.572
Cl2 Cl 0.500 0.500 0.072
F1 F 0.500 0.000 0.022
F2 F 0.500 0.213 0.265
F3 F 0.500 0.287 0.765
F4 F 0.500 0.500 0.522
F5 F 0.500 0.713 0.765
F6 F 0.500 0.787 0.265
```

Largest 10 diffraction maxima, by angle, 2θ = 10–90°:
2θ 14.11, I 82
2θ 28.06, I 48
2θ 28.43, I 47
2θ 29.35, I 30
2θ 30.29, I 100
2θ 32.75, I 73
2θ 34.23, I 25
2θ 36.52, I 33
2θ 53.99, I 23
2θ 54.74, I 25

Entry 2:
For YEr4Lu2Co2Te2, a cell relaxed with PBE gives the calculated PXRD pattern in this record (Cu Kα (λ = 1.5418 Å)).
Kinematic intensities with the Lorentz-polarization factor, no thermal factor.

```
data_YEr4Lu2Co2Te2
_cell_length_a 9.260
_cell_length_b 9.260
_cell_length_c 9.260
_cell_angle_alpha 156.23
_cell_angle_beta 66.39
_cell_angle_gamma 119.04
_symmetry_space_group_name_H-M 'P 1'
_symmetry_Int_Tables_number 1
loop_
_symmetry_equiv_pos_as_xyz
'x,y,z'
loop_
_atom_site_label
_atom_site_type_symbol
_atom_site_fract_x
_atom_site_fract_y
_atom_site_fract_z
Y1 Y 0.000 0.000 0.000
Er1 Er 0.283 0.418 0.865
Er2 Er 0.552 0.418 0.135
Er3 Er 0.620 0.270 0.350
Er4 Er 0.920 0.270 0.650
Lu1 Lu 0.310 0.623 0.686
Lu2 Lu 0.937 0.623 0.314
Co1 Co 0.167 0.930 0.238
Co2 Co 0.692 0.930 0.762
Te1 Te 0.266 0.766 0.500
Te2 Te 0.663 0.663 0.000
```

Largest 10 diffraction maxima, by angle, 2θ = 10–90°:
2θ 25.20, I 28
2θ 29.10, I 35
2θ 30.74, I 44
2θ 33.46, I 88
2θ 34.35, I 100
2θ 34.73, I 26
2θ 34.93, I 67
2θ 38.99, I 22
2θ 47.69, I 31
2θ 59.51, I 34

Entry 3:
For ErFeNi3B, a cell relaxed with PBE gives the calculated PXRD pattern in this record (Cu Kα (λ = 1.5418 Å)).
Kinematic intensities with the Lorentz-polarization factor, no thermal factor.

```
data_ErFeNi3B
_cell_length_a 4.985
_cell_length_b 4.985
_cell_length_c 7.006
_cell_angle_alpha 90.00
_cell_angle_beta 90.00
_cell_angle_gamma 120.00
_symmetry_space_group_name_H-M 'P 1'
_symmetry_Int_Tables_number 1
loop_
_symmetry_equiv_pos_as_xyz
'x,y,z'
loop_
_atom_site_label
_atom_site_type_symbol
_atom_site_fract_x
_atom_site_fract_y
_atom_site_fract_z
Er1 Er 0.000 0.000 0.000
Er2 Er 0.000 0.000 0.500
Fe1 Fe 0.333 0.667 0.000
Fe2 Fe 0.667 0.333 0.000
Ni1 Ni 0.000 0.500 0.292
Ni2 Ni 0.000 0.500 0.708
Ni3 Ni 0.500 0.000 0.292
Ni4 Ni 0.500 0.000 0.708
Ni5 Ni 0.500 0.500 0.292
Ni6 Ni 0.500 0.500 0.708
(End of the materials data)



	}while(armed != MAV_MODE_FLAG_SAFETY_ARMED);  // Check if vehicle armed successfully

	printf(ANSI_COLOR_GREEN "\nVehicle armed successfully \n" ANSI_COLOR_RESET);



Could someone please tell me where is the problem?